Material.
=====
ORCA calculation (ωB97M-V with the def2-TZVPD basis set) on an isolated molecule of C4H17B3NO5P.

```
! wB97M-V def2-TZVPD RIJCOSX def2/J DEFGRID3
* xyz 0 1
C -0.75 2.69 -0.14
C 0.11 1.84 -1.29
C 1.15 2.91 -2.04
C 0.93 0.67 -0.46
P -0.23 -0.78 0.11
B -1.48 -2.17 0.52
N -2.46 -2.21 1.68
O -1.53 -3.34 -0.43
B 0.99 -2.05 -0.75
O 1.31 -2.01 -2.20
O 1.71 -3.11 0.04
B 0.15 -0.39 1.95
O -0.80 0.29 2.89
O 1.49 -0.72 2.52
H -1.60 2.03 0.36
H -1.17 3.65 -0.68
H 0.00 3.01 0.71
H -0.61 1.42 -2.11
H 0.56 3.55 -2.84
H 1.63 3.62 -1.23
H 2.04 2.29 -2.51
H 1.37 1.20 0.50
H 1.84 0.30 -1.10
H -1.28 -0.13 -0.67
H -2.17 -2.87 2.43
H -2.72 -1.27 2.03
H -1.96 -2.93 -1.27
H 0.72 -2.65 -2.71
H 1.06 -3.79 0.38
H -0.28 0.79 3.59
H 1.98 0.15 2.74
*
```

## Properties
- highest occupied orbital energy (eV) = -7.240
- Kohn-Sham gap (eV) = 7.28

* * * * *

Computed, not measured: a molecular structure, C17H25Br31IN3OP at a distorted geometry, with wB97M-V/def2-TZVPD.

```
79
Properties=species:S:1:pos:R:3
C -0.791 -6.806 0.313
C 0.216 -6.205 -0.771
Br 1.911 -7.253 -0.710
C 0.530 -4.694 -0.485
N 1.451 -4.163 -1.526
C 1.749 -2.890 -1.633
N 2.662 -2.544 -2.681
C 3.558 -1.507 -2.056
C 2.634 -0.236 -1.813
C 1.361 -0.577 -0.958
P -0.199 0.289 -1.641
O -0.581 -0.340 -3.173
I -1.935 -0.357 0.027
N 1.154 -2.027 -0.690
H -0.359 -7.714 0.801
H -0.932 -6.051 1.133
H -1.789 -7.042 -0.122
H -0.228 -6.304 -1.790
H 1.136 -4.679 0.463
H -0.380 -4.061 -0.392
H 1.861 -4.831 -2.181
H 2.196 -2.042 -3.443
H 4.429 -1.266 -2.712
H 3.894 -1.875 -1.058
H 3.250 0.591 -1.373
H 2.342 0.125 -2.843
H 1.516 -0.085 0.043
H -1.354 -0.917 -3.031
H 1.415 -2.275 0.265
C 0.362 0.466 -6.507
Br 0.307 2.395 -6.374
Br 0.381 -0.129 -8.347
Br 1.835 -0.285 -5.495
H -0.552 0.091 -6.059
C 5.707 1.496 0.758
Br 6.217 0.454 -0.793
Br 4.697 3.070 0.263
Br 4.766 0.417 2.063
H 6.622 1.838 1.228
C 3.741 2.960 4.804
Br 3.199 4.342 3.561
Br 5.667 2.863 4.978
Br 2.874 3.160 6.521
H 3.412 2.014 4.389
C -4.239 1.534 -3.603
Br -4.707 -0.316 -3.263
Br -2.742 2.104 -2.515
Br -3.932 1.862 -5.484
H -5.092 2.137 -3.309
C -2.541 6.289 -2.749
Br -0.910 5.920 -1.772
Br -2.624 5.284 -4.400
Br -4.113 6.006 -1.655
H -2.524 7.340 -3.015
C 0.927 6.504 8.770
Br 0.046 5.768 7.211
Br 0.487 5.515 10.375
Br 2.841 6.644 8.514
H 0.549 7.511 8.903
C -3.729 -8.805 -2.506
Br -4.268 -7.414 -3.738
Br -1.801 -8.937 -2.373
Br -4.552 -8.587 -0.768
H -4.084 -9.746 -2.911
C -5.701 0.417 2.537
Br -5.792 2.344 2.691
Br -5.699 -0.157 0.688
Br -4.195 -0.311 3.512
H -6.600 0.018 2.994
C -3.421 -1.931 7.482
Br -2.025 -2.103 6.149
Br -2.692 -1.653 9.253
Br -4.697 -0.557 7.005
H -3.959 -2.872 7.503
C 2.256 8.520 -2.136
Br 1.947 9.709 -0.641
Br 3.137 9.423 -3.604
Br 3.212 6.925 -1.598
H 1.283 8.201 -2.496
```

The charge is +1. For the calculated total energy, the calculation gives -2213249.8928 eV. For the HOMO-LUMO gap, the calculation gives 8.428 eV. As for the multiplicity: 1.

Löwdin atomic charge list, values in e, 4 entries: -0.148, -0.684, 0.682, -0.204

Computed, not measured: a molecular structure, C4H8N2O at a distorted geometry, with wB97M-V/def2-TZVPD.

```
15
Properties=species:S:1:pos:R:3
C -0.264 1.383 1.367
C -0.846 0.907 0.068
O 0.050 1.087 -1.073
C -0.045 -0.259 -1.373
N 0.648 -1.001 -2.121
C -0.799 -0.596 -0.179
N 1.137 -1.436 0.191
H 0.658 0.824 1.535
H -0.970 1.172 2.178
H -0.061 2.455 1.344
H -1.803 1.411 -0.163
H 1.460 -0.487 -2.455
H -1.581 -1.330 0.002
H 0.703 -2.243 -0.251
H 1.715 -1.887 0.932
```

The calculation puts the energy relative to the best compared isomer or geometry (same formula, charge and spin) at 133.12 kcal per mole. For the calculated total energy, the calculation gives -9300.6207 eV. For the HOMO-LUMO gap, the calculation gives 8.706 eV. As for the multiplicity: 1.

natural (NBO) atomic charge list, values in e, 4 entries: -0.627, 0.046, -0.502, 0.498

Number 1: LUMO energy -2.86 eV. Number 2: LUMO energy -0.38 eV.

* * * * *
=====
Exercise.
Now quote everything further above unchanged.
Solution.
ORCA calculation (ωB97M-V with the def2-TZVPD basis set) on an isolated molecule of C4H17B3NO5P.

```
! wB97M-V def2-TZVPD RIJCOSX def2/J DEFGRID3
* xyz 0 1
C -0.75 2.69 -0.14
C 0.11 1.84 -1.29
C 1.15 2.91 -2.04
C 0.93 0.67 -0.46
P -0.23 -0.78 0.11
B -1.48 -2.17 0.52
N -2.46 -2.21 1.68
O -1.53 -3.34 -0.43
B 0.99 -2.05 -0.75
O 1.31 -2.01 -2.20
O 1.71 -3.11 0.04
B 0.15 -0.39 1.95
O -0.80 0.29 2.89
O 1.49 -0.72 2.52
H -1.60 2.03 0.36
H -1.17 3.65 -0.68
H 0.00 3.01 0.71
H -0.61 1.42 -2.11
H 0.56 3.55 -2.84
H 1.63 3.62 -1.23
H 2.04 2.29 -2.51
H 1.37 1.20 0.50
H 1.84 0.30 -1.10
H -1.28 -0.13 -0.67
H -2.17 -2.87 2.43
H -2.72 -1.27 2.03
H -1.96 -2.93 -1.27
H 0.72 -2.65 -2.71
H 1.06 -3.79 0.38
H -0.28 0.79 3.59
H 1.98 0.15 2.74
*
```

## Properties
- highest occupied orbital energy (eV) = -7.240
- Kohn-Sham gap (eV) = 7.28

* * * * *

Computed, not measured: a molecular structure, C17H25Br31IN3OP at a distorted geometry, with wB97M-V/def2-TZVPD.

```
79
Properties=species:S:1:pos:R:3
C -0.791 -6.806 0.313
C 0.216 -6.205 -0.771
Br 1.911 -7.253 -0.710
C 0.530 -4.694 -0.485
N 1.451 -4.163 -1.526
C 1.749 -2.890 -1.633
N 2.662 -2.544 -2.681
C 3.558 -1.507 -2.056
C 2.634 -0.236 -1.813
C 1.361 -0.577 -0.958
P -0.199 0.289 -1.641
O -0.581 -0.340 -3.173
I -1.935 -0.357 0.027
N 1.154 -2.027 -0.690
H -0.359 -7.714 0.801
H -0.932 -6.051 1.133
H -1.789 -7.042 -0.122
H -0.228 -6.304 -1.790
H 1.136 -4.679 0.463
H -0.380 -4.061 -0.392
H 1.861 -4.831 -2.181
H 2.196 -2.042 -3.443
H 4.429 -1.266 -2.712
H 3.894 -1.875 -1.058
H 3.250 0.591 -1.373
H 2.342 0.125 -2.843
H 1.516 -0.085 0.043
H -1.354 -0.917 -3.031
H 1.415 -2.275 0.265
C 0.362 0.466 -6.507
Br 0.307 2.395 -6.374
Br 0.381 -0.129 -8.347
Br 1.835 -0.285 -5.495
H -0.552 0.091 -6.059
C 5.707 1.496 0.758
Br 6.217 0.454 -0.793
Br 4.697 3.070 0.263
Br 4.766 0.417 2.063
H 6.622 1.838 1.228
C 3.741 2.960 4.804
Br 3.199 4.342 3.561
Br 5.667 2.863 4.978
Br 2.874 3.160 6.521
H 3.412 2.014 4.389
C -4.239 1.534 -3.603
Br -4.707 -0.316 -3.263
Br -2.742 2.104 -2.515
Br -3.932 1.862 -5.484
H -5.092 2.137 -3.309
C -2.541 6.289 -2.749
Br -0.910 5.920 -1.772
Br -2.624 5.284 -4.400
Br -4.113 6.006 -1.655
H -2.524 7.340 -3.015
C 0.927 6.504 8.770
Br 0.046 5.768 7.211
Br 0.487 5.515 10.375
Br 2.841 6.644 8.514
H 0.549 7.511 8.903
C -3.729 -8.805 -2.506
Br -4.268 -7.414 -3.738
Br -1.801 -8.937 -2.373
Br -4.552 -8.587 -0.768
H -4.084 -9.746 -2.911
C -5.701 0.417 2.537
Br -5.792 2.344 2.691
Br -5.699 -0.157 0.688
Br -4.195 -0.311 3.512
H -6.600 0.018 2.994
C -3.421 -1.931 7.482
Br -2.025 -2.103 6.149
Br -2.692 -1.653 9.253
Br -4.697 -0.557 7.005
H -3.959 -2.872 7.503
C 2.256 8.520 -2.136
Br 1.947 9.709 -0.641
Br 3.137 9.423 -3.604
Br 3.212 6.925 -1.598
H 1.283 8.201 -2.496
```

The charge is +1. For the calculated total energy, the calculation gives -2213249.8928 eV. For the HOMO-LUMO gap, the calculation gives 8.428 eV. As for the multiplicity: 1.

Löwdin atomic charge list, values in e, 4 entries: -0.148, -0.684, 0.682, -0.204

Computed, not measured: a molecular structure, C4H8N2O at a distorted geometry, with wB97M-V/def2-TZVPD.

```
15
Properties=species:S:1:pos:R:3
C -0.264 1.383 1.367
C -0.846 0.907 0.068
O 0.050 1.087 -1.073
C -0.045 -0.259 -1.373
N 0.648 -1.001 -2.121
C -0.799 -0.596 -0.179
N 1.137 -1.436 0.191
H 0.658 0.824 1.535
H -0.970 1.172 2.178
H -0.061 2.455 1.344
H -1.803 1.411 -0.163
H 1.460 -0.487 -2.455
H -1.581 -1.330 0.002
H 0.703 -2.243 -0.251
H 1.715 -1.887 0.932
```

The calculation puts the energy relative to the best compared isomer or geometry (same formula, charge and spin) at 133.12 kcal per mole. For the calculated total energy, the calculation gives -9300.6207 eV. For the HOMO-LUMO gap, the calculation gives 8.706 eV. As for the multiplicity: 1.

natural (NBO) atomic charge list, values in e, 4 entries: -0.627, 0.046, -0.502, 0.498

Number 1: LUMO energy -2.86 eV. Number 2: LUMO energy -0.38 eV.

* * * * *